• Input:
<<<
[1]
Compound: ErMgCd2
Source: Materials Project
Functional: r²SCAN
Structure: optimized geometry

Cell: 7.1080 7.1080 7.1080 Å, 90.00 90.00 90.00°
Closest atoms and distances in Å follow each position.
Space group Fm-3m (No. 225)
One atom of each set of equivalent atoms:
Er (0.0000, 0.0000, 0.0000) x4  8 Cd 3.08
Mg (0.0000, 0.0000, 0.5000) x4  8 Cd 3.08
Cd (0.2500, 0.2500, 0.2500) x8  4 Er 3.08, 4 Mg 3.08

Calculated values
total magnetic moment = 0.0 Bohr magnetons per cell
formation enthalpy at 0 K = -322 meV/atom

=====

[2]
Compound: Er4CdNi
Source: Materials Project
Functional: r²SCAN
Structure: optimized geometry

Cell: 13.2921 13.2921 13.2921 Å, 90.00 90.00 90.00°
Closest atoms and distances in Å follow each position.
Space group F-43m (No. 216)
One atom of each set of equivalent atoms:
Er (0.0000, 0.0000, 0.1871) x24  2 Cd 3.19, 2 Ni 3.40, 10 Er 3.40-3.52
Er (0.0613, 0.2500, 0.2500) x24  2 Ni 2.75
Er (0.0987, 0.0987, 0.5987) x16  3 Ni 2.75
Cd (0.1691, 0.1691, 0.8309) x16  3 Cd 3.04, 6 Er 3.19-3.36
Ni (0.1076, 0.1076, 0.3924) x16  6 Er 2.75

Calculated values
total magnetic moment = 0.0 Bohr magnetons per cell
formation enthalpy at 0 K = -325 meV/atom

=====

[3]
Compound: ErCdNi4
Source: Materials Project
Functional: r²SCAN
Structure: optimized geometry

Cell: 6.9303 6.9303 6.9303 Å, 90.00 90.00 90.00°
Closest atoms and distances in Å follow each position.
Space group F-43m (No. 216)
One atom of each set of equivalent atoms:
Er (0.0000, 0.0000, 0.0000) x4  12 Ni 2.88, 4 Cd 3.00
Cd (0.2500, 0.2500, 0.2500) x4  12 Ni 2.87, 4 Er 3.00
Ni (0.1240, 0.1240, 0.6240) x16  6 Ni 2.43-2.47

Calculated values
total magnetic moment = 2.8 Bohr magnetons per cell
formation enthalpy at 0 K = -343 meV/atom

=====

[4]
Compound: Er2CdOs
Source: Materials Project
Functional: r²SCAN
Structure: optimized geometry

Cell: 6.9861 6.9861 6.9861 Å, 90.00 90.00 90.00°
Closest atoms and distances in Å follow each position.
Space group Fm-3m (No. 225)
One atom of each set of equivalent atoms:
Er (0.2500, 0.2500, 0.2500) x8  4 Os 3.03, 4 Cd 3.03
Cd (0.0000, 0.0000, 0.0000) x4  8 Er 3.03
Os (0.0000, 0.0000, 0.5000) x4  8 Er 3.03

Calculated values
total magnetic moment = 0.0 Bohr magnetons per cell
formation enthalpy at 0 K = -332 meV/atom

=====

[5]
Compound: Er2CdPd2
Source: Materials Project
Functional: r²SCAN
Structure: optimized geometry

Cell: 7.6595 7.6595 3.6238 Å, 90.00 90.00 90.00°
Closest atoms and distances in Å follow each position.
Space group P4/mbm (No. 127)
One atom of each set of equivalent atoms:
Er (0.1713, 0.3287, 0.0000) x4  6 Pd 2.82-2.95
Cd (0.0000, 0.0000, 0.5000) x2  4 Pd 3.01
Pd (0.1294, 0.6294, 0.5000) x4  1 Pd 2.80, 6 Er 2.82-2.95, 2 Cd 3.01

Calculated values
total magnetic moment = 0.0 Bohr magnetons per cell
formation enthalpy at 0 K = -841 meV/atom

=====

[6]
Compound: Er4CdPt
Source: Materials Project
Functional: r²SCAN
Structure: optimized geometry

Cell: 13.4834 13.4834 13.4834 Å, 90.00 90.00 90.00°
Closest atoms and distances in Å follow each position.
Space group F-43m (No. 216)
One atom of each set of equivalent atoms:
Er (0.0000, 0.0000, 0.1860) x24  2 Cd 3.22, 10 Er 3.46-3.57, 2 Pt 3.46
Er (0.0600, 0.2500, 0.7500) x24  2 Pt 2.80
Er (0.1027, 0.1027, 0.3973) x16  3 Pt 2.82
Cd (0.1684, 0.1684, 0.1684) x16  3 Cd 3.11, 9 Er 3.22-3.45
Pt (0.1066, 0.1066, 0.6066) x16  6 Er 2.80-2.82

Calculated values
total magnetic moment = 0.0 Bohr magnetons per cell
formation enthalpy at 0 K = -694 meV/atom

=====

[7]
Compound: Er2CdS4
Source: Materials Project
Functional: r²SCAN
Structure: optimized geometry

Cell: 11.1534 11.1534 11.1534 Å, 90.00 90.00 90.00°
Closest atoms and distances in Å follow each position.
Space group Fd-3m (No. 227, origin choice 2)
One atom of each set of equivalent atoms:
Er (0.0000, 0.0000, 0.0000) x16  6 S 2.71
Cd (0.1250, 0.1250, 0.6250) x8  4 S 2.56
S (0.0077, 0.0077, 0.2423) x32  1 Cd 2.56, 3 Er 2.71

Calculated values
total magnetic moment = 0.0 Bohr magnetons per cell
>>>
• What to do:
Return every line above that contains the word "moment".
• Response:
total magnetic moment = 0.0 Bohr magnetons per cell
total magnetic moment = 0.0 Bohr magnetons per cell
total magnetic moment = 2.8 Bohr magnetons per cell
total magnetic moment = 0.0 Bohr magnetons per cell
total magnetic moment = 0.0 Bohr magnetons per cell
total magnetic moment = 0.0 Bohr magnetons per cell
total magnetic moment = 0.0 Bohr magnetons per cell